The Verkhovna Rada adopted a law on the full application of EU customs legislation

The Verkhovna Rada adopted a law on the full application of EU customs legislation

The Verkhovna Rada adopted a law that brings Ukraine closer to the full application of EU customs legislation. 293 People’s Deputies voted for the document.

On Thursday, August 22, the draft Law of Ukraine “On Amendments to the Customs Code of Ukraine regarding the implementation of some provisions of the EU Customs Code” was adopted in general, the Ministry of Finance reported.

**Unrelated to this page: materials data**
1.
## K2MnV2O7 (PBE+U)

Data for K2MnV2O7 after structural relaxation.

Geometry as POSCAR:
```
K2MnV2O7
1.0
8.7613 0.0000 0.0000
0.0000 8.7613 0.0000
0.0000 0.0000 5.6759
K Mn V O
4 2 4 14
direct
0.1629 0.3371 0.0102 K
0.3371 0.8371 0.9898 K
0.6629 0.1629 0.9898 K
0.8371 0.6629 0.0102 K
0.0000 0.0000 0.5000 Mn
0.5000 0.5000 0.5000 Mn
0.1400 0.6400 0.5568 V
0.3600 0.1400 0.4432 V
0.6400 0.8600 0.4432 V
0.8600 0.3600 0.5568 V
0.0000 0.5000 0.6614 O
0.0879 0.8153 0.6768 O
0.1445 0.6445 0.2604 O
0.1847 0.0879 0.3232 O
0.3153 0.5879 0.6768 O
0.3555 0.1445 0.7396 O
0.4121 0.3153 0.3232 O
0.5000 0.0000 0.3386 O
0.5879 0.6847 0.3232 O
0.6445 0.8555 0.7396 O
0.6847 0.4121 0.6768 O
0.8153 0.9121 0.3232 O
0.8555 0.3555 0.2604 O
0.9121 0.1847 0.6768 O
```

---

2.
## KMnVO4 (PBE+U)

Data for KMnVO4 after structural relaxation.

Geometry as POSCAR:
```
KMnVO4
1.0
12.2914 0.0000 0.0000
0.0000 5.7204 0.0000
-6.5738 0.0000 23.6118
K Mn V O
16 16 16 64
direct
0.0496 0.2273 0.3150 K
0.0496 0.2727 0.8150 K
0.1286 0.7158 0.4356 K
0.1286 0.7842 0.9356 K
0.3185 0.7300 0.1952 K
0.3185 0.7700 0.6952 K
0.3716 0.2136 0.3128 K
0.3716 0.2864 0.8128 K
0.6284 0.7136 0.1872 K
0.6284 0.7864 0.6872 K
0.6815 0.2300 0.3048 K
0.6815 0.2700 0.8048 K
0.8714 0.2158 0.0644 K
0.8714 0.2842 0.5644 K
0.9504 0.7273 0.1850 K
0.9504 0.7727 0.6850 K
0.1222 0.2356 0.1816 Mn
0.1222 0.2644 0.6816 Mn
0.1747 0.2422 0.5607 Mn
0.1747 0.2578 0.0607 Mn
0.3821 0.7423 0.5584 Mn
0.3821 0.7577 0.0584 Mn
0.4232 0.7228 0.4228 Mn
0.4232 0.7772 0.9228 Mn
0.5768 0.2228 0.0772 Mn
0.5768 0.2772 0.5772 Mn
0.6179 0.2423 0.9416 Mn
0.6179 0.2577 0.4416 Mn
0.8253 0.7422 0.9393 Mn
0.8253 0.7578 0.4393 Mn
0.8778 0.7356 0.3184 Mn
0.8778 0.7644 0.8184 Mn
0.0758 0.7270 0.0701 V
0.0758 0.7730 0.5701 V
0.1769 0.7269 0.2911 V
0.1769 0.7731 0.7911 V
0.3286 0.2297 0.4640 V
0.3286 0.2703 0.9640 V
0.4187 0.2451 0.1526 V
0.4187 0.2549 0.6526 V
0.5813 0.7451 0.3474 V
0.5813 0.7549 0.8474 V
0.6714 0.7297 0.0360 V
0.6714 0.7703 0.5360 V
0.8231 0.2269 0.2089 V
0.8231 0.2731 0.7089 V
0.9242 0.2270 0.4299 V
0.9242 0.2730 0.9299 V
0.0351 0.2497 0.4901 O
0.0351 0.2503 0.9901 O
0.0513 0.7216 0.3116 O
0.0513 0.7784 0.8116 O
0.0546 0.5016 0.1139 O
0.0546 0.9984 0.6139 O
0.0928 0.5058 0.6073 O
0.0928 0.9942 0.1073 O
0.1770 0.5303 0.7475 O
0.1770 0.9697 0.2475 O
0.1815 0.0202 0.7500 O
0.1815 0.4798 0.2500 O
0.2037 0.6505 0.0539 O
0.2037 0.8495 0.5539 O
0.2188 0.2473 0.9062 O
0.2188 0.2527 0.4062 O
0.2741 0.2162 0.6484 O
0.2741 0.2838 0.1484 O
0.2939 0.7343 0.3497 O
0.2939 0.7657 0.8497 O
0.2953 0.1131 0.0199 O
0.2953 0.3869 0.5199 O
0.3588 0.5755 0.9784 O
0.3588 0.9245 0.4784 O
0.4395 0.5457 0.6355 O
0.4395 0.9543 0.1355 O
0.4456 0.1279 0.9490 O
0.4456 0.3721 0.4490 O
0.4615 0.0633 0.6041 O
0.4615 0.4367 0.1041 O
0.4929 0.1844 0.7190 O
0.4929 0.3156 0.2190 O
0.5071 0.6844 0.7810 O
0.5071 0.8156 0.2810 O
0.5385 0.5633 0.8959 O
0.5385 0.9367 0.3959 O
0.5544 0.6279 0.5510 O
0.5544 0.8721 0.0510 O
0.5605 0.0457 0.8645 O
0.5605 0.4543 0.3645 O

In fact, this Council completes the implementation of the main part of the EU customs law (EU acquis) into the legislation of Ukraine.

“The adoption of the draft law aims to provide an opportunity for domestic business to adapt to the updated rules in the field of foreign economic activity in a timely manner and to carry out a “soft” transition from the current to the new Customs Code of Ukraine, which will already be fully in line with the EU Customs Code,” – stressed the Deputy Minister of Finance on issues of European integration Yuriy Draganchuk.

The next changes to the customs legislation of Ukraine will be the adoption of the new Customs Code of Ukraine, which will be completely based on the EU Customs Code.

In particular, the bill proposes the following changes:

• introduction of the concept of customs representation, similar to the one operating in the EU countries;

• implementation of the gradual transition of enterprises to a system of authorizations similar to the European one;

# KV6S8

Crystalline KV6S8 at its relaxed geometry (PBE, Materials Project).

Cell: 3.262 9.196 9.204 Å, 60.03 90.00 90.00°
Sites, in units of the cell vectors:
K 0.000 0.000 0.000
V 0.249 0.491 0.625
V 0.249 0.625 0.884
V 0.249 0.884 0.491
V 0.751 0.116 0.509
V 0.751 0.375 0.116
V 0.751 0.509 0.375
S 0.251 0.333 0.333
S 0.253 0.347 0.950
S 0.253 0.703 0.347
S 0.253 0.950 0.703
S 0.747 0.050 0.297
S 0.747 0.297 0.653
S 0.747 0.653 0.050
S 0.749 0.667 0.667

Results
- E_form (eV/atom) = -1.302
- symmetry = P-1 (2)
- total energy (eV/atom) = -6.948



# CaMg6Si

Crystalline CaMg6Si at its relaxed geometry (PBE, Materials Project).

Cell: 5.034 6.139 11.981 Å, 90.00 90.00 90.00°
Sites, in units of the cell vectors:
Ca 0.500 0.000 0.179
Ca 0.500 0.500 0.679
Mg 0.500 0.250 0.428
Mg 0.500 0.750 0.428
Mg 0.000 0.744 0.079
Mg 0.000 0.256 0.079
Mg 0.000 0.000 0.343
Mg 0.000 0.500 0.318
Mg 0.500 0.750 0.928
Mg 0.500 0.250 0.928
Mg 0.000 0.244 0.579
Mg 0.000 0.756 0.579
Mg 0.000 0.500 0.843
Mg 0.000 0.000 0.818
Si 0.500 0.500 0.146
Si 0.500 0.000 0.646

Results
- E_form (eV/atom) = 0.018
- total energy (eV/atom) = -2.120
- M_tot (μB/f.u.) = 0.00



# KPbO2

Crystalline KPbO2 at its relaxed geometry (PBE, Materials Project).

Cell: 7.123 7.623 13.084 Å, 105.45 90.94 117.54°
Sites, in units of the cell vectors:
K 0.242 0.242 0.492
K 0.244 0.244 0.992
K 0.250 0.504 0.735
K 0.253 0.505 0.235
K 0.747 0.495 0.765
K 0.750 0.496 0.265
K 0.756 0.756 0.008
K 0.758 0.758 0.508
Pb 0.238 0.000 0.747
Pb 0.241 0.001 0.246
Pb 0.270 0.759 0.967
Pb 0.273 0.760 0.466
Pb 0.727 0.240 0.534
Pb 0.730 0.241 0.033
Pb 0.759 0.999 0.754
Pb 0.762 0.000 0.253
O 0.009 0.099 0.844
O 0.012 0.100 0.343
O 0.067 0.705 0.855
O 0.070 0.707 0.355
O 0.469 0.301 0.639
O 0.473 0.302 0.138
O 0.476 0.069 0.857
O 0.479 0.070 0.356
O 0.521 0.930 0.644
O 0.524 0.931 0.143
O 0.527 0.698 0.862
O 0.531 0.699 0.361
O 0.930 0.293 0.645
O 0.933 0.295 0.145
O 0.988 0.900 0.657
O 0.991 0.901 0.156

Results
- E_form (eV/atom) = -0.788
- symmetry = P-1 (2)
- total energy (eV/atom) = -4.124
- M_tot (μB/f.u.) = 0.00



# Sr2DyTaO6

Crystalline Sr2DyTaO6 at its relaxed geometry (PBE, Materials Project).

Cell: 5.858 5.933 10.160 Å, 90.00 124.93 90.00°
Sites, in units of the cell vectors:
Sr 0.243 0.036 0.251
Sr 0.243 0.464 0.751
Sr 0.757 0.536 0.249
Sr 0.757 0.964 0.749
Dy 0.500 0.000 0.000
Dy 0.500 0.500 0.500
Ta 0.000 0.000 0.500
Ta 0.000 0.500 0.000
O 0.149 0.225 0.954
O 0.149 0.275 0.454
O 0.233 0.697 0.959
O 0.233 0.803 0.459
O 0.315 0.024 0.735
O 0.315 0.476 0.235
O 0.685 0.524 0.765
O 0.685 0.976 0.265
O 0.767 0.197 0.541
O 0.767 0.303 0.041
O 0.851 0.725 0.546
O 0.851 0.775 0.046

Results
- E_form (eV/atom) = -3.603
- symmetry = P2_1/c (14)
- total energy (eV/atom) = -8.144
- M_tot (μB/f.u.) = 0.00



# Na2Sc4Ti4Si3S9O48

Crystalline Na2Sc4Ti4Si3S9O48 at its relaxed geometry (PBE, Materials Project).

Cell: 8.760 15.178 22.803 Å, 90.16 90.10 90.09°
Sites, in units of the cell vectors:
Na 0.000 0.000 0.000

• introduction of the European model of types of customs warehouses and expansion of the list of permitted operations.

The opportunities for authorized economic operators (AEOs) to confirm the sufficiency of their financial status have also been expanded, and a European approach to the application of customs regimes has been introduced.

To strengthen the anti-corruption component in the customs authorities, the law provides for the introduction of two key measures:

_These data records were left in the article by mistake_
Density functional theory data (meta-GGA r2SCAN) for a relaxed Ac2GaSi crystal.

Cell and atoms, written as CIF:
```
data_Ac2GaSi
_chemical_formula_sum 'Ac8 Ga4 Si4'
_symmetry_space_group_name_H-M 'F m -3 m'
_symmetry_Int_Tables_number 225
_symmetry_space_group_name_Hall '-F 4 2 3'
_cell_length_a 7.7816
_cell_length_b 7.7816
_cell_length_c 7.7816
_cell_angle_alpha 90.00
_cell_angle_beta 90.00
_cell_angle_gamma 90.00
loop_
_atom_site_label
_atom_site_fract_x
_atom_site_fract_y
_atom_site_fract_z
_atom_site_occupancy
Ac1 0.2500 0.2500 0.2500 1
Ga1 0.0000 0.0000 0.0000 1
Si1 0.0000 0.0000 0.5000 1
```

For the formation energy, the calculation gives -1.67 eV per formula unit. The total energy comes out at -39.79 eV per atom.

Density functional theory data (meta-GGA r2SCAN) for a relaxed AcGaTe2 crystal.

Cell and atoms, written as CIF:
```
data_AcGaTe2
_chemical_formula_sum 'Ac4 Ga4 Te8'
_symmetry_space_group_name_H-M 'F m -3 m'
_symmetry_Int_Tables_number 225
_symmetry_space_group_name_Hall '-F 4 2 3'
_cell_length_a 7.9921
_cell_length_b 7.9921
_cell_length_c 7.9921
_cell_angle_alpha 90.00
_cell_angle_beta 90.00
_cell_angle_gamma 90.00
loop_
_atom_site_label
_atom_site_fract_x
_atom_site_fract_y
_atom_site_fract_z
_atom_site_occupancy
Ac1 0.0000 0.0000 0.0000 1
Ga1 0.0000 0.0000 0.5000 1
Te1 0.2500 0.2500 0.2500 1
```

For the formation energy, the calculation gives -4.29 eV per formula unit. The total energy comes out at -33.80 eV per atom.

Density functional theory data (meta-GGA r2SCAN) for a relaxed Ac2ZnGa crystal.

Cell and atoms, written as CIF:
```
data_Ac2ZnGa
_chemical_formula_sum 'Ac8 Zn4 Ga4'
_symmetry_space_group_name_H-M 'F m -3 m'
_symmetry_Int_Tables_number 225
_symmetry_space_group_name_Hall '-F 4 2 3'
_cell_length_a 7.8295
_cell_length_b 7.8295
_cell_length_c 7.8295
_cell_angle_alpha 90.00
_cell_angle_beta 90.00
_cell_angle_gamma 90.00
loop_
_atom_site_label
_atom_site_fract_x
_atom_site_fract_y
_atom_site_fract_z
_atom_site_occupancy
Ac1 0.2500 0.2500 0.2500 1
Zn1 0.0000 0.0000 0.0000 1
Ga1 0.0000 0.0000 0.5000 1
```

For the formation energy, the calculation gives -1.51 eV per formula unit. The total energy comes out at -39.79 eV per atom.

Density functional theory data (meta-GGA r2SCAN) for a relaxed AcGe3 crystal.

Cell and atoms, written as CIF:
```
data_AcGe3
_chemical_formula_sum 'Ac2 Ge6'
_symmetry_space_group_name_H-M 'P 63/m m c'
_symmetry_Int_Tables_number 194
_symmetry_space_group_name_Hall '-P 6c 2c'
_cell_length_a 6.6484
_cell_length_b 6.6484
_cell_length_c 4.9117
_cell_angle_alpha 90.00
_cell_angle_beta 90.00
_cell_angle_gamma 120.00
loop_
_atom_site_label
_atom_site_fract_x
_atom_site_fract_y
_atom_site_fract_z
_atom_site_occupancy
Ac1 0.3333 0.6667 0.2500 1
Ge1 0.1349 0.2698 0.7500 1
```

For the formation energy, the calculation gives -1.78 eV per formula unit. The total energy comes out at -28.01 eV per atom.

Density functional theory data (meta-GGA r2SCAN) for a relaxed Ac2HgGe crystal.
_Back to the article_

• publication on the official website of the State Customs Service of depersonalized texts of decisions based on the results of complaints consideration within three days from the date of their adoption,

• giving customs authorities the right to exchange with customs authorities of foreign countries information on the customs value of goods in electronic form in the format of international standards.

It should be noted that the changes will enter into force 6 months after the official publication of the law. During this time, the Cabinet of Ministers and the Ministry of Finance must approve all necessary by-laws.

However, certain provisions will enter into force on the day following the day of publication of the law. We are talking, for example, about advantages for AEOs in priority arrival and crossing the border, as well as exclusion for all enterprises from the terms of delivery to the border of the time of goods being in the electronic queue.

Reference. Customs reform is provided for by Ukraine’s plan within the framework of the Ukraine Facility, the National Revenue Strategy for 2024-2030, and is also one of the structural beacons within the IMF Extended Fund Facility program.